5. Searching The King

**Between two parts of the entry: molecular data:**
+++
{"formula": "C5H8FNaO4", "method": "ωB97M-V/def2-TZVPD", "species": ["C", "O", "Na", "C", "H", "H", "H", "H", "H", "C", "O", "C", "C", "O", "O", "F", "H", "H", "H"], "coordinates": [[-1.41, -1.29, -0.10], [-0.70, -0.20, -0.59], [-1.64, 1.85, -0.51], [-2.85, -0.93, 0.24], [-1.41, -2.13, -0.82], [-0.93, -1.68, 0.83], [-3.40, -1.80, 0.62], [-2.88, -0.15, 1.02], [-3.38, -0.56, -0.66], [0.50, 0.86, 0.67], [1.15, 1.77, -0.20], [2.33, 1.22, -0.67], [2.38, -0.16, -0.01], [1.41, -0.07, 1.03], [-0.34, 1.34, 1.43], [3.37, 2.01, -0.23], [2.36, 1.22, -1.76], [2.09, -0.95, -0.72], [3.36, -0.36, 0.44]], "mol_weight_g_mol": 174.10, "energy_ha": -758.45702, "e_above_lowest_kcal_mol": 11.7, "max_force_ev_per_a": 2.21, "spin_multiplicity": 1}

{"formula": "C4H7N3OS", "method": "ωB97M-V/def2-TZVPD", "species": ["C", "C", "C", "C", "N", "N", "N", "O", "S", "H", "H", "H", "H", "H", "H", "H"], "coordinates": [[-2.25, -1.31, 0.02], [1.31, -0.34, 0.43], [1.38, 0.42, -1.00], [0.18, 0.25, 1.22], [-2.27, -2.39, 0.36], [-2.39, -0.03, -0.17], [0.07, 0.57, -1.52], [-1.40, 2.20, 0.08], [-1.04, 0.84, 0.00], [0.91, -1.43, 0.26], [2.14, -0.46, 1.09], [1.85, 1.33, -0.93], [1.93, -0.19, -1.59], [-0.50, -0.38, 1.80], [0.42, 1.10, 1.95], [-0.34, -0.19, -2.00]], "mol_weight_g_mol": 145.19, "energy_ha": -794.00317, "e_above_lowest_kcal_mol": 108.6, "max_force_ev_per_a": 5.21, "s_squared": 2.02, "spin_multiplicity": 3}
+++

Rava is now on a pirate ship after being tasked to fight them by Garp. He kick a pirate's wee wee when the guy try to capture him. Now all the pirates got alerted and close their legs, but their captain order them to attack Rava.

Rava grin happily, he has become someone that enjoy battle. His rivalry with Shanks make him want to be stronger and he start to enjoy battle. However, he is not someone that like to kill his enemies, even if they're pirates.

His personality also start to change to be more like Garp, as he often join Garp's mission. Tsuru try to stop it by forbid him from joining Garp's missions. However Rava is a teen, and he has become rather mischievous. He would often slip out to join Garp's missions because Garp always have interesting missions, like now.

"GET HIM!"-Pirate Captain


Rava hold his staff with 2 hands, and get ready. The pirates rush at Rava, and attack him with their melee weapons. Rava hit a sword from the side with his staff, then he thrust his staff at the guy.

Rava then hit the attacking pirates' wrists, and make them lose hold on their weapons. Then Rava hit their head one by one while spinning his staff. He also kick & punch some guys that try to attack him from behind. He keep defeating the pirates, and make the captain frustated.


"B-but he's very strong, captain."-Pirate E


Some pirates take out their guns and shoot at Rava. Rava run to the side to avoid being shot. He see some barrels on his way, so he hit them and fling them to the shooter.

The barrels disturb the shooters, so Rava get close to them. He start to attack them as fast as he could. The other pirates come to help their comrades and attack Rava.

"Staff Combo: Family Destroyer!"-Rava

Rava spin his staff and rush at the pirates that come to attack him. He run at a low position and start to strike with his staff. However, he hit the pirates on their crotch, make them defeated instantly. This move is truly, a family destroyer.

"Wha-what a despicable move, are you really a justice enforcement?"-Pirate Captain

"There's no descpicable move in a war, there's only winner & loser. That's what Kuzan said."-Rava


Rava has defeated more than half of them, about 80+. Now the remaining crew attack Rava, even the captain. Rava judge the situation and plan his next move.

The pirates start to shoot at Rava, so he run and jump around to avoid the bullets. Rava then hide behind the main mast and see a sail rope clinging. He have an idea, then he grab the rope and take a breath.

"Let's fly!"-Rava

Rava run while holding the rope, then he start to fly with it. Rava fly around the mast and pass by the pirates. He attack the surprised pirates with his kick while he pass by them.

He fly for a lap, then he stop & turn back for another lap. The pirates now try to duck and avoid the kick, but Rava jump down. He start to attack them while they got fooled by the previous attack.

Rava start to attack them with his staff, punch, kick, and even headbutt. He hit them from below, above, sides, on every open parts. He got hits, cuts, or shots, but didn't get injured on vital parts. It hurts, but he didn't back down and attack harder. Then finally, he defeat all the subordinates, and now there's only the captain left.

"Wh-what is this? A-all my 150 subordinates are..."-The captain have a horrified look

"Don't worry, you'll join them soon."-Rava


"You must've forget something, this is Grandline, the sea of strongest. Your 30 million bounty is just a decoration here. Now you can surrender, or fight and get defeated."-Rava

The pirate captain choose to attack Rava with his cutlass. Rava hit the cutlass from the side with his staff. Then swing the other end of his staff and hit the captain's jaw, knocking him out instantly.

"Mission complete."-Rava

"Well done, kid."-Garp suddenly jump down from the rear deck.

"I'm still not good enough. I still get many injuries after fighting a crew with low bounty."-Rava

"Number is a power too, and fighting 150 experienced pirates on their ship is not an easy thing. Fighting one enemy and many enemies need different approach. So far you've never fight many people like this, so it is a good experience."-Garp

"Hmm, you're right, i need to be very careful of my surrounding in a fight like this. I need to focus on many people instead of one like usual. If i'm too focused on one person, i can get stabbed from behind."-Rava

"Good, you understand the basic of it."-Garp


"Yeah, if you get very strong, then number won't be a problem again. You can just destroy everything at once."-Garp grin

Rava is confused, and suddenly Garp punch the mast and break it.

"If you're strong enough, you can just break defeat them all at once. If you're tough enough, you won't need to worry about bullets. If you're fast enough, you'll be able to avoid everything."-Garp grin

"Ooh, that's amazing. Maybe i'll be able to do it if you teach me that haki thing."-Rava

"No, you're not ready yet."-Garp walk back to the marine ship that have come closer

"Come on, it's better if i train it early right?"-Rava chase Garp

"No."-Garp didn't change his answer

"Then at least teach me Rokushiki."-Rava try to negotiate

"You need permission from WG."-Garp jump to the marine ship

"Tch, stingy."-Rava

The marines capture all the pirates and tied them all. They put the pirates in battleship's jails, and their valuables are taken. These valuables might be some stolen items, and the Marines will keep them for the owners to take.

Garp's crew send the pirates to the nearest Marine base before resuming their mission. Their priority is to find Roger, but more importantly, Garp didn't want to take care of official things. Rava have seen the other officers taking care of those papers, and he don't want to do it when he become a Marine.

"Old Garp, what should i do to avoid those paperworks?"-Rava

"Find an assistant that can help you taking care of it, or just leave it until they don't give you paperworks."-Garp

"Ooh, alright i'll find a good assistant."-Rava

Their search mission end without any result again. They can't even find the remnants of Roger's crew to get information. The ex-crew must be layed down after they got disbanded.

~1 Year Later~

For one year, the Marine didn't succeed in their attempt to capture Roger. However, one day everything change. Roger surrender himself to the Marine, and it shock the Marine & WG. The higher ups even make a meeting in Fleet Admiral's office.

"What happen? He's not someone that will surrender no matter what situation he is in."-Garp

"No one know for sure, but this is the best result that we can get right now."-Kong

"That's right, we don't know when we'll find him if he didn't surender now."-Zephyr

"This is a good thing, but we can't reveal that he surrender himself. We need to hide this and publish that we have captured him. The Marine's prestige will drop if people know we can't capture Roger."-Tsuru

".....You're right, we need to look strong so people will feel safe."-Sengoku

"Hmph, even if i don't really like it, but it's the best choice."-Garp grumble

They agree to publish it like this to the world to save the Marine's prestige. Furthermore, people need a feeling of safety in this chaotic world. Marine is their source of safety from many dangers out there, so they need to appear strong.

The Marine also hope that Roger's execution will make the pirates lose their morale. It might not create a permanent effect, but it will lower piracy acticity for some years.

Roger's execution will be hold in 2 weeks time. They need to make some preparation, and it will only be published a week before the execution. The execution will be hold on Loguetown in East Blue, Roger's hometown.

Meanwhile, Rava is training in his house's backyard. He know that Roger will be executed and didn't really feel something for it. Roger is a pirate, so he know his outcome is death if he got captured, and now he surrender himself even when he know it.

Rava know that every action, every choice, everything have consequences, and being a pirate or marine have death as one of the consequences. Everyone that choose to become pirate or marine must be ready for it. Rava himself has been ready for it, as his mom always told him this, and he still want to be a marine.

'As long as there's evil, justice will be needed. I am thankful to my mom for saving me when i'm just a baby.'-Rava

Since Rava know his past and then join Marine's missions, he has seen many things in the world. There are many unfortunate people and many babies that are not as lucky as him. He's lucky that Tsuru found him and save him, but other babies or kids might get killed before being saved.

Rava didn't want what happen to him happen to other babies or kids. The best way to help them is by becoming a marine. Marine have everything he need to achieve this.

Marine is a world wide organization, so he'll have access to many things. Informations, money, power, comrades, tools, and many more. There are many advantages that can't be achieved if he work alone.

"To get everything i need from the Marine, i need to get the high position, at least Vice Admiral like my mom. But what did Old Garp mean when he say that being an Admiral is the same as serving the worst scums?"-Rava

"It means just like that, Admirals directly serve the worst scums."-Garp

Garp come with Tsuru & Gion after their meeting finished.

"Mom, aunt, you're back, and Old Garp is coming too. So, who are these worst scums? Is it the World Goverment?"-Rava

"Well, you're not fully wrong, but that's also not fully true. You are 14 y.o now, so i guess this is the time for you to know the truth about this world."-Tsuru

"The truth about this world?"-Rava tilt his head

"Are you sure about this Tsuru-chan?"-Garp

"I am, he can join Marine entrance exam next year. So before he become a real marine, i want to show him the truth. I don't want him to be a Marine just because he want to make me happy. Even if it make me sad, i want him to live his life for himself."-Tsuru

"Uuh, i don't really understand, but what will we do?"-Rava

"We will go to Sabaody, a place that i forbid you to go before."-Tsuru

Rava got happy & excited now. He have heard many things about Sabaody, and people say it is a beautiful place, so he is very curious. However his mom forbid him to go there, so he never go there.

They go to Sabaody soon after that, and they wear cloaks to hide their identity. When he see the island, Rava got stunned. This place is very beautiful with those bubbles, amusement park, and happy people.

'Just what could go wrong in a place like this?'-Rava

Then they go to the deeper part of Sabaody. This place is very contrast with what he saw before. Many criminals are roaming around, and this place looks lawless. Then they arrive at a building, and what he see make Rava shocked.

"What the hell is this?"-Rava widen his eyes and his body is shaking